Duplicate the part of the lines further below that starts with the line with "-1.30" and stops after the one with "8.38".

No. 1
The following is a quantum chemistry calculation of C39H59B2BrF21I3NO21P2 as an isolated structure in a non-equilibrium geometry, from OMol25.

CARTESIAN COORDINATES (ANGSTROEM)
C  -2.10  -6.21  -1.08
C  -0.62  -5.95  -1.29
O  -0.39  -5.49  -2.60
C  0.72  -4.62  -2.78
C  0.26  -3.29  -3.37
O  0.61  -2.16  -2.60
C  0.01  -2.17  -1.31
C  -0.30  -0.75  -0.78
C  -0.71  0.21  -1.91
I  -2.23  -0.67  -3.21
C  -1.05  1.67  -1.52
C  -2.39  2.24  -1.96
I  0.40  2.99  -2.46
O  0.95  -0.26  -0.33
B  0.90  0.24  1.06
B  1.93  -0.57  2.20
O  2.42  0.07  3.33
O  2.31  -1.89  2.05
C  2.57  -2.67  3.20
P  1.36  2.21  1.02
O  0.98  2.57  2.61
Br  3.64  2.07  1.02
O  -0.56  0.12  1.39
C  -1.14  -0.74  0.57
I  -1.10  -2.81  1.56
P  -2.98  -0.34  0.57
N  -3.31  1.12  1.02
H  -2.27  -7.17  -0.60
H  -2.61  -6.23  -2.04
H  -2.56  -5.43  -0.47
H  -0.28  -5.21  -0.56
H  -0.06  -6.87  -1.11
H  1.42  -5.11  -3.45
H  1.23  -4.47  -1.83
H  0.69  -3.13  -4.36
H  -0.81  -3.36  -3.50
H  0.73  -2.57  -0.61
H  -0.89  -2.78  -1.34
H  0.15  0.21  -2.57
H  -0.93  1.83  -0.45
H  -2.45  2.35  -3.03
H  -3.22  1.65  -1.58
H  -2.47  3.24  -1.54
H  1.74  0.58  3.78
H  3.55  -2.45  3.63
H  2.56  -3.72  2.91
H  1.83  -2.51  3.99
H  1.43  3.39  2.83
H  -3.48  -1.30  1.46
H  -3.46  -0.71  -0.69
H  -3.82  1.62  0.30
C  6.23  -4.42  5.38
C  6.11  -5.27  6.62
O  5.19  -4.68  7.57
C  3.91  -4.85  7.30
O  3.43  -5.47  6.40
C  3.06  -4.14  8.38
F  3.51  -2.91  8.62
F  3.11  -4.84  9.52
F  1.79  -4.06  7.99
H  6.52  -3.40  5.64
H  6.97  -4.83  4.70
H  5.28  -4.37  4.85
H  7.06  -5.33  7.15
H  5.79  -6.28  6.39
C  0.79  0.76  -6.37
C  -0.31  1.78  -6.22
O  -0.39  2.69  -7.35
C  -1.06  2.30  -8.41
O  -1.66  1.29  -8.59
C  -0.99  3.42  -9.48
F  0.25  3.89  -9.62
F  -1.79  4.45  -9.13
F  -1.41  2.97  -10.66
H  1.74  1.26  -6.54
H  0.86  0.21  -5.43
H  0.63  0.05  -7.18
H  -0.01  2.38  -5.36
H  -1.28  1.34  -6.03
C  -4.04  3.31  4.62
C  -4.66  3.41  3.24
O  -5.89  4.19  3.29
C  -5.77  5.49  3.32
O  -4.78  6.15  3.30
C  -7.18  6.13  3.35
F  -7.97  5.52  4.24
F  -7.76  6.02  2.14
F  -7.11  7.42  3.66
H  -4.76  2.90  5.32
H  -3.17  2.66  4.59
H  -3.74  4.29  4.99
H  -4.94  2.44  2.87
H  -3.97  3.85  2.53
C  9.86  -1.57  -0.59
C  9.98  -1.39  0.91
O  9.21  -2.37  1.63
C  9.75  -3.57  1.75
O  10.81  -3.95  1.36
C  8.78  -4.47  2.56
F  7.53  -4.35  2.11
F  8.81  -4.11  3.85
F  9.14  -5.74  2.48
H  8.81  -1.54  -0.88
H  10.39  -0.76  -1.10
H  10.28  -2.52  -0.91
H  9.57  -0.43  1.22
H  11.02  -1.44  1.24
C  -7.76  5.49  8.71
C  -7.83  4.19  9.49
O  -6.97  3.19  8.92
C  -5.69  3.27  9.23
O  -5.17  4.07  9.94
C  -4.92  2.13  8.53
F  -5.30  2.03  7.25
F  -5.18  0.97  9.14
F  -3.62  2.35  8.57
H  -8.00  5.32  7.66
H  -8.48  6.20  9.12
H  -6.77  5.93  8.77
H  -8.83  3.76  9.44
H  -7.58  4.33  10.54
C  -5.05  2.24  -10.36
C  -5.15  3.22  -9.20
O  -6.33  2.98  -8.40
C  -6.22  1.99  -7.54
O  -5.27  1.29  -7.37
C  -7.52  1.87  -6.71
F  -8.60  1.93  -7.49
F  -7.58  2.88  -5.83
F  -7.54  0.72  -6.04
H  -5.96  2.29  -10.97
H  -4.19  2.49  -10.98
H  -4.93  1.22  -10.00
H  -5.25  4.24  -9.56
H  -4.27  3.17  -8.57
C  4.39  -1.16  -1.59
C  4.41  0.26  -2.09
O  5.28  0.40  -3.25
C  4.78  0.06  -4.42
O  3.69  -0.35  -4.67
C  5.82  0.37  -5.52
F  7.03  -0.09  -5.18
F  5.91  1.69  -5.70
F  5.46  -0.19  -6.66
H  5.41  -1.51  -1.38
H  3.80  -1.21  -0.68
H  3.95  -1.83  -2.33
H  4.85  0.93  -1.34
H  3.42  0.63  -2.33

Summary:
Kohn-Sham gap, eV: 6.682
LUMO energy, eV: 1.89
Total charge: -1
E, a.u.: -9453.31392
Max |F|, eV Å⁻¹: 1.41

Results of the Mulliken charge analysis, in e, for atoms 1 through 8: -1.2111, 0.1999, -0.4338, -0.6904, -0.5660, 0.3381, -2.7085, 3.1099


No. 2
The following is a quantum chemistry calculation of a 3-piece molecular cluster, C39H59F22N2O2 overall in a non-equilibrium geometry, from OMol25.

CARTESIAN COORDINATES (ANGSTROEM)
C  7.70  -5.77  1.78
C  7.38  -5.83  0.22
O  6.53  -6.61  -0.23
O  8.09  -4.91  -0.61
C  7.20  -3.97  -1.24
C  6.46  -2.98  -0.19
C  7.00  -1.47  -0.25

H  -3.48  -1.30  1.46
H  -3.46  -0.71  -0.69
H  -3.82  1.62  0.30
C  6.23  -4.42  5.38
C  6.11  -5.27  6.62
O  5.19  -4.68  7.57
C  3.91  -4.85  7.30
O  3.43  -5.47  6.40
C  3.06  -4.14  8.38